It remains to copy the calculation results further down from the first line to the one with "_cell_length_c 11.081" exactly.

<<<
The following is a DFT calculation (GGA+U) of a geometry-optimized P2W7O25 structure.

Results
**Volume**: 992.3 Å³/cell
**Total magnetization**: 4.0 μB per cell
**E**: -510.16 eV/cell
**Energy relative to the elements**: -2297 meV per atom

```
data_P2W7O25
_chemical_formula_sum 'P4 W14 O50'
_space_group_name_H-M_alt 'P 1 21/c 1'
_space_group_IT_number 14
_cell_length_a 5.416
_cell_length_b 6.715
_cell_length_c 27.815
_cell_angle_alpha 90.00
_cell_angle_beta 101.23
_cell_angle_gamma 90.00
loop_
_space_group_symop_operation_xyz
'x,y,z'
'-x,-y,-z'
'-x,y+1/2,-z+1/2'
'x,-y+1/2,z+1/2'
loop_
_atom_site_label
_atom_site_fract_x
_atom_site_fract_y
_atom_site_fract_z
_atom_site_occupancy
P1 0.200 0.198 0.209 1
W1 0.000 0.000 0.500 1
W2 0.112 0.661 0.614 1
W3 0.331 0.003 0.329 1
W4 0.442 0.669 0.444 1
O1 0.052 0.690 0.798 1
O2 0.060 0.669 0.061 1
O3 0.088 0.161 0.349 1
O4 0.174 0.011 0.177 1
O5 0.181 0.012 0.909 1
O6 0.203 0.684 0.968 1
O7 0.272 0.134 0.263 1
O8 0.293 0.156 0.527 1
O9 0.318 0.014 0.087 1
O10 0.388 0.658 0.884 1
O11 0.411 0.682 0.147 1
O12 0.412 0.167 0.698 1
O13 0.500 0.000 0.000 1
```

=====

The following is a DFT calculation (GGA+U) of a geometry-optimized P2W5O19 structure.

Results
**Volume**: 762.5 Å³/cell
**Total magnetization**: 4.0 μB per cell
**E**: -389.93 eV/cell
**Energy relative to the elements**: -2330 meV per atom

```
data_P2W5O19
_chemical_formula_sum 'P4 W10 O38'
_space_group_name_H-M_alt 'P 1 21 1'
_space_group_IT_number 4
_cell_length_a 6.733
_cell_length_b 5.405
_cell_length_c 21.069
_cell_angle_alpha 90.00
_cell_angle_beta 96.10
_cell_angle_gamma 90.00
loop_
_space_group_symop_operation_xyz
'x,y,z'
'-x,y+1/2,-z'
loop_
_atom_site_label
_atom_site_fract_x
_atom_site_fract_y
_atom_site_fract_z
_atom_site_occupancy
P1 0.214 0.000 0.235 1
P2 0.251 0.018 0.660 1
W1 0.106 0.005 0.815 1
W2 0.148 0.515 0.460 1
W3 0.179 0.504 0.036 1
W4 0.466 0.012 0.391 1
W5 0.468 0.503 0.888 1
O1 0.011 0.766 0.497 1
O2 0.012 0.770 0.002 1
O3 0.032 0.505 0.113 1
O4 0.048 0.013 0.620 1
O5 0.075 0.224 0.221 1
O6 0.097 0.755 0.226 1
O7 0.218 0.999 0.731 1
O8 0.274 0.267 0.843 1
O9 0.294 0.249 0.422 1
O10 0.294 0.769 0.847 1
O11 0.304 0.020 0.305 1
O12 0.316 0.755 0.416 1
O13 0.321 0.504 0.960 1
O14 0.348 0.239 0.074 1
O15 0.356 0.511 0.536 1
O16 0.358 0.266 0.651 1
O17 0.371 0.737 0.079 1
O18 0.380 0.796 0.644 1
O19 0.385 0.004 0.192 1
```

=====

The following is a DFT calculation (GGA+U) of a geometry-optimized PWO2 structure.

Results
**Volume**: 422.1 Å³/cell
**Total magnetization**: 19.4 μB per cell
**E**: -189.10 eV/cell
**Energy relative to the elements**: -295 meV per atom

```
data_PWO2
_chemical_formula_sum 'P8 W8 O16'
_space_group_name_H-M_alt 'I 41/a m d'
_space_group_IT_number 141
_cell_length_a 6.172
_cell_length_b 6.172
_cell_length_c 11.081
_cell_angle_alpha 90.00
_cell_angle_beta 90.00
_cell_angle_gamma 90.00
loop_
_space_group_symop_operation_xyz
'x,y,z'
'-x,-y,-z'
'-y+1/4,x+3/4,z+1/4'
'y+1/4,-x+3/4,-z+1/4'
'-x+1/2,-y,z+1/2'
'x+1/2,y,-z+1/2'
'y+1/4,-x+1/4,z+3/4'
'-y+1/4,x+1/4,-z+3/4'
'x,-y,-z'
'-x,y,z'
'-y+1/4,-x+1/4,-z+3/4'
'y+1/4,x+1/4,z+3/4'
'-x+1/2,y,-z+1/2'
'x+1/2,-y,z+1/2'
'y+1/4,x+3/4,-z+1/4'
'-y+1/4,-x+3/4,z+1/4'
'x+1/2,y+1/2,z+1/2'
'-x+1/2,-y+1/2,-z+1/2'
'-y+3/4,x+1/4,z+3/4'
'y+3/4,-x+1/4,-z+3/4'
'-x,-y+1/2,z'
'x,y+1/2,-z'
'y+3/4,-x+3/4,z+1/4'
'-y+3/4,x+3/4,-z+1/4'
'x+1/2,-y+1/2,-z+1/2'
'-x+1/2,y+1/2,z+1/2'
'-y+3/4,-x+3/4,-z+1/4'
'y+3/4,x+3/4,z+1/4'
'-x,y+1/2,-z'
'x,-y+1/2,z'
'y+3/4,x+1/4,-z+3/4'
'-y+3/4,-x+1/4,z+3/4'
loop_
_atom_site_label
_atom_site_fract_x
_atom_site_fract_y
_atom_site_fract_z
_atom_site_occupancy
P1 0.000 0.000 0.000 1
W1 0.000 0.000 0.500 1
O1 0.000 0.053 0.163 1
```

=====

The following is a DFT calculation (GGA+U) of a geometry-optimized P5WO15 structure.

Results
**Volume**: 640.8 Å³/cell
**Total magnetization**: 2.0 μB per cell
**E**: -298.91 eV/cell
**Energy relative to the elements**: -2379 meV per atom

```
data_P5WO15
_chemical_formula_sum 'P10 W2 O30'
>>>

The following is a DFT calculation (GGA+U) of a geometry-optimized P2W7O25 structure.

Results
**Volume**: 992.3 Å³/cell
**Total magnetization**: 4.0 μB per cell
**E**: -510.16 eV/cell
**Energy relative to the elements**: -2297 meV per atom

```
data_P2W7O25
_chemical_formula_sum 'P4 W14 O50'
_space_group_name_H-M_alt 'P 1 21/c 1'
_space_group_IT_number 14
_cell_length_a 5.416
_cell_length_b 6.715
_cell_length_c 27.815
_cell_angle_alpha 90.00
_cell_angle_beta 101.23
_cell_angle_gamma 90.00
loop_
_space_group_symop_operation_xyz
'x,y,z'
'-x,-y,-z'
'-x,y+1/2,-z+1/2'
'x,-y+1/2,z+1/2'
loop_
_atom_site_label
_atom_site_fract_x
_atom_site_fract_y
_atom_site_fract_z
_atom_site_occupancy
P1 0.200 0.198 0.209 1
W1 0.000 0.000 0.500 1
W2 0.112 0.661 0.614 1
W3 0.331 0.003 0.329 1
W4 0.442 0.669 0.444 1
O1 0.052 0.690 0.798 1
O2 0.060 0.669 0.061 1
O3 0.088 0.161 0.349 1
O4 0.174 0.011 0.177 1
O5 0.181 0.012 0.909 1
O6 0.203 0.684 0.968 1
O7 0.272 0.134 0.263 1
O8 0.293 0.156 0.527 1
O9 0.318 0.014 0.087 1
O10 0.388 0.658 0.884 1
O11 0.411 0.682 0.147 1
O12 0.412 0.167 0.698 1
O13 0.500 0.000 0.000 1
```

=====

The following is a DFT calculation (GGA+U) of a geometry-optimized P2W5O19 structure.

Results
**Volume**: 762.5 Å³/cell
**Total magnetization**: 4.0 μB per cell
**E**: -389.93 eV/cell
**Energy relative to the elements**: -2330 meV per atom

```
data_P2W5O19
_chemical_formula_sum 'P4 W10 O38'
_space_group_name_H-M_alt 'P 1 21 1'
_space_group_IT_number 4
_cell_length_a 6.733
_cell_length_b 5.405
_cell_length_c 21.069
_cell_angle_alpha 90.00
_cell_angle_beta 96.10
_cell_angle_gamma 90.00
loop_
_space_group_symop_operation_xyz
'x,y,z'
'-x,y+1/2,-z'
loop_
_atom_site_label
_atom_site_fract_x
_atom_site_fract_y
_atom_site_fract_z
_atom_site_occupancy
P1 0.214 0.000 0.235 1
P2 0.251 0.018 0.660 1
W1 0.106 0.005 0.815 1
W2 0.148 0.515 0.460 1
W3 0.179 0.504 0.036 1
W4 0.466 0.012 0.391 1
W5 0.468 0.503 0.888 1
O1 0.011 0.766 0.497 1
O2 0.012 0.770 0.002 1
O3 0.032 0.505 0.113 1
O4 0.048 0.013 0.620 1
O5 0.075 0.224 0.221 1
O6 0.097 0.755 0.226 1
O7 0.218 0.999 0.731 1
O8 0.274 0.267 0.843 1
O9 0.294 0.249 0.422 1
O10 0.294 0.769 0.847 1
O11 0.304 0.020 0.305 1
O12 0.316 0.755 0.416 1
O13 0.321 0.504 0.960 1
O14 0.348 0.239 0.074 1
O15 0.356 0.511 0.536 1
O16 0.358 0.266 0.651 1
O17 0.371 0.737 0.079 1
O18 0.380 0.796 0.644 1
O19 0.385 0.004 0.192 1
```

=====

The following is a DFT calculation (GGA+U) of a geometry-optimized PWO2 structure.

Results
**Volume**: 422.1 Å³/cell
**Total magnetization**: 19.4 μB per cell
**E**: -189.10 eV/cell
**Energy relative to the elements**: -295 meV per atom

```
data_PWO2
_chemical_formula_sum 'P8 W8 O16'
_space_group_name_H-M_alt 'I 41/a m d'
_space_group_IT_number 141
_cell_length_a 6.172
_cell_length_b 6.172
_cell_length_c 11.081